Croagh Patrick – ‘Get perspective’

In The Sacred Heart Messenger for July 2023, Paddy Carberry SJ writes about the centrality of Mass in accordance with the Pope’s intention for the month; Andrea Hayes, who writes on spiritual care, introduces readers to Visio Divina (‘divine seeing’); Orla Tracey IBVM reports on a pilgrimage that took place during the Pope’s recent visit to South Sudan; plus lots more. In this Messenger article, Brendan McManus SJ writes about his various pilgrimages climbing Croagh Patrick in preparation for Reek Sunday (30 July 2023).
Reek Sunday: Croagh Patrick
As a priest, one of the most rewarding experiences has been celebrating Mass in the little oratory on Croagh Patrick as part of a walking pilgrimage. I have been to the top of Croagh Patrick around twenty-five times with groups over the years, but every time it is fresh and different. The weather is so unpredictable that you never know what you will be facing, from strong winds to snow and ice. A good day is a real blessing. The view from the top is transcendent with the expanse of Clew Bay dotted with islands, and the entire west coast revealed in all its glory. Your life looks different from the top.
The oratory is very basic. Built in 1905, it is a simple rectangle of stone walls, an altar with rails and a tiny sacristry at the rear. Often it is so cold and damp that the moisture drips from the roof and walls, and you can see your breath. When we celebrate Mass there with a group, we leave the door open and inevitably pilgrims crowd in, each with their own intention and pilgrim prayer that makes for a real encounter. These ‘spontaneous’ Masses hint at something profound about the Eucharist: we are all pilgrims in the world, trying to make sense of life and its challenges, in need of this ‘bread of life’ as food for the journey. Coming together in this way, as pilgrims have done for over a hundred years here, is a humbling experience, and it is genuinely transformative. The mountain gives perspective, clarity and direction for our lives.
This perspective does not come easily. Croagh Patrick is a considerable challenge to pilgrims. It is a significant mountain at 764 metres and because of the exposure on the west coast, it can present unexpected conditions. Many pilgrims get caught out with unexpected turns of weather, not having the right gear or not being fit enough.
Indeed the mountain rescue service is often called out, and the helicopter regularly has to make airlifts to come to the aid of pilgrims, especially around Reek Sunday. There is a significant penitential aspect to this pilgrimage that is important: it takes several hours to ascend, and it is a testing experience in many ways. The final steep scree slope leading to the summit is daunting and off-putting. Then reaching the top, often in sub-zero temperatures and an icy wind, can involve only a brief stay, before the even more challenging descent that tests tired legs. However you know that you have done something significant and paradoxically, there are moments of pure joy.
Fr Frank Fahey who instigated and ran the Tóchar Phádraig pilgrim trail from Ballintubber Abbey to Croagh Patrick talks about the pilgrimage as giving real perspective. I always remember his words, “We climb the mountain to get perspective.” We put away the distractions of our lives, face our humanity and meet the God of pilgrimage who is waiting for us. Modern life has become so sanitised and technological that it’s easy to forget who we really are (pilgrims) and what our lives are about (meeting God). The mountain reminds us of these ancient truths and walking in the footsteps of countless pilgrims helps uncover God’s voice within. There is always a message to be received and standing on the exposed, bare mountain helps to hear it clearly. As Fr Frank says, “There is something in the human heart – in every tradition and religion – that searches for meaning and wholeness.”
The perspective that we get is:
- Our lives are more than just what we have or do; just existing or taking it easy is not satisfying for the soul.
- We are pilgrims in this world and need to be reminded by getting onto the mountain and walking.
Records of crystals that have nothing to do with the entry:
~~~
MgSnPb | PBE | optimized geometry

The space group is P3m1 (No. 156) and the conventional cell measures 5.2237, 5.2237 and 3.4897 Å, with angles of 90.00, 90.00 and 120.00 degrees. The asymmetric unit holds Mg at (0.0000, 0.0000, 0.0000), Sn at (0.6667, 0.3333, 0.1517) and Pb at (0.3333, 0.6667, 0.5485).

The calculation puts the total magnetization at 0.00 μB per cell. The calculation puts the formation energy at 16 meV per atom.

---

NbZnHg2Rh | PBE | optimized geometry

The space group is P4/mmm (No. 123) and the conventional cell measures 5.257, 5.257 and 4.967 Å, with angles of 90.00, 90.00 and 90.00 degrees. The asymmetric unit holds Nb at (0.000, 0.000, 0.000), Zn at (0.000, 0.000, 0.500), Hg at (0.000, 0.500, 0.000) and Rh at (0.500, 0.500, 0.500).

The calculation puts the total magnetization at 0.00 μB per cell. The calculation puts the formation energy at 1451 meV per atom.

---

TlCuO | PBE | optimized geometry

The space group is P-6m2 (No. 187) and the conventional cell measures 3.3959, 3.3959 and 4.9887 Å, with angles of 90.00, 90.00 and 120.00 degrees. The asymmetric unit holds Tl at (0.0000, 0.0000, 0.0000), Cu at (0.3333, 0.6667, 0.5000) and O at (0.6667, 0.3333, 0.5000).

The calculation puts the total magnetization at 0.00 μB per cell. As for the raw total energy: -4.147 eV per atom.

---

ZrMn2Al | PBE | optimized geometry

The space group is P4/mmm (No. 123) and the conventional cell measures 3.172, 3.172 and 5.914 Å, with angles of 90.00, 90.00 and 90.00 degrees. The asymmetric unit holds Zr at (0.000, 0.000, 0.000), Mn at (0.500, 0.500, 0.276) and Al at (0.000, 0.000, 0.500).

The calculation puts the total magnetization at 2.95 μB per cell. The calculation puts the formation energy at -124 meV per atom.

---

AcSmAl2Ga2 | PBE | optimized geometry

The space group is P-3m1 (No. 164) and the conventional cell measures 4.3708, 4.3708 and 8.9553 Å, with angles of 90.00, 90.00 and 120.00 degrees. The asymmetric unit holds Ac at (0.0000, 0.0000, 0.0000), Sm at (0.0000, 0.0000, 0.5000), Al at (0.3333, 0.6667, 0.7327) and Ga at (0.3333, 0.6667, 0.2717).

The calculation puts the total magnetization at 0.00 μB per cell. The calculation puts the formation energy at -562 meV per atom.

---

AcAu2Se3 | PBE | optimized geometry

The space group is Cmcm (No. 63) and the conventional cell measures 9.082, 12.452 and 5.514 Å, with angles of 90.00, 90.00 and 90.00 degrees. The asymmetric unit holds Ac at (0.000, 0.217, 0.250), Au at (0.228, 0.500, 0.000), Se at (0.000, 0.375, 0.750) and Se at (0.193, 0.168, 0.750).

The calculation puts the total magnetization at 0.00 μB per cell. As for the raw total energy: -4.208 eV per atom.

---

V2CdMo2 | PBE | optimized geometry

The space group is P4/mbm (No. 127) and the conventional cell measures 7.234, 7.234 and 3.079 Å, with angles of 90.00, 90.00 and 90.00 degrees. The asymmetric unit holds V at (0.135, 0.365, 0.000), Cd at (0.000, 0.000, 0.000) and Mo at (0.165, 0.665, 0.500).
~~~
- We need a challenge and a climb to remind us of our humanity, limits and need for God.
- Just like in biblical times, the mountaintop is where we meet God.
- We come back with a clarity about who we are (dependent pilgrims) and how we should live (trusting in God).